Shopify Storefront, Checkout, and Cart API Process

Shopify recently announced improvements to their Storefront API that allows store owners to manage and access their entire store and inventory through APIs.

This opens up a new level of possibilities for Shopify store owners, such as:

  • Shopify can be used as a backend service to set up your store. You can also use any frontend tech you choose to build it.
  • A Shopify-powered e-commerce website can be created without a Shopify account.
  • Shopify allows you to sell products from any app, website, or video game.

This is very exciting. I also took advantage of the APIs to create this Shopify Gridsome Startup Template.

You can either go ahead and look it up, or you can read this post where I’ll attempt to explain my process.

Shopify: How to get started

Before we get into the details, here are some things that you might need to make sure you have.

Now you can start using your store data for any client application that suits your needs.


To authenticate requests to your Storefront API, all you need is a storefront token. This can be found on your Shopify admin section. This token is used to authenticate requests.

Learn more about authorization and scopes on the Shopify Docs. But this was all I needed to do the authentication. Let’s now look at how to retrieve data from the store.


All products available

Before we get started, it is worth noting that Storefront APIs are entirely GraphQL-based. We won’t be using any REST alternatives so all sample snippets will be in GraphQL.

To get a complete list of products in your shop, send a post request via your Shopify store endpoint.

The products query is what we use in the above snippet. This will return all products in your store without any arguments. We have specified that we only want the first five products. To do this, we need to provide the first argument for the products question.

What if this request was made from your favourite Frontend framework like Next.jsNuxt.js. What would that look like? In my case, I am working on Gridsome. So I will go into the gridsome.server.js and write this query:

These are the fields that we have defined in our query. We will return the response with the respective values. You can add additional fields such as variants and collections depending on your requirements. To keep the snippets simple and easy to read, I kept it very minimal. If you want to see more, you can find the rest of this file.

Gridsome works by fetched product data. Now we can create a Product collection and pass product data into this Collection:

This Collection allows us to access products from all of our pages and components as this.$page.product. It is now possible to use it anywhere within Gridsome.

Buy a specific product

What if you only want to ask for one product? We can query the products using unique identifiers. This query will return the results.

This query will be run against your Product schema to return the product ID. Below is an example response to the query:

Let’s not get into the details of requesting products. Let’s now look at how to manage your shopping cart once your customers make that purchase decision.


This was my most difficult part. When dealing with the cart API, there are many moving parts. This explanation should make it easier for you. First, a cart is not created until a product is added to it (i.e. a user clicks Add To Cart).

Create Cart

Once that happens, you can then send Shopify a request to create a Cart with the selected item. To create a cart, you will need two fields: the id for the product selected and the quantity. This is the mutation:

The above mutation will create a cart with return values for all fields. The file contains the remainder of the file. This has been done to make it more readable and concise. You may also be curious about the postToShopify export. It’s a utility function that we use to request Shopify. Also available .

This is a mistake I made that took me a while to find out. You might not think that the product id, i.e. the itemId shown in the snippet above, is the product’s ID ( It’s actually the ID of the chosen product variant. The variants field of the product data will remain available if there are no variants. And you can access it with product.variants[0] This ID is what you need to add to your cart (or use to create one).

Add items to your cart

If you have a cart and want to add items to it, then you will need to supply.

  1. The cartId returned in the first attempt to create a cart
  2. The ID for the product that you are adding to your cart
  3. Its quantity.

Here is a sample mutation to take the required fields and add the selected product into the cart. Its ID equals the cartId.

Shopify will locate the cart with the ID equal to the ID in the cartId variable, and add the product as a line item to the cart. The file contains the entire snippet.

Take items out of your cart

We’ve now created a cart and added items. Let’s see how to remove an item. It’s not uncommon for me to change my mind when I shop online, so I would like to be able remove items from my cart.

This request will not be any different than the one that adds an item into the cart. In this instance, we want to remove an item. It’s as easy as putting in the lineId ID of the product variant (line item) that you wish to get rid of, and the cartId ID of the cart you want it to be removed from. Here’s how:

The above mutation will remove the selected product from the cart whose lineID equals the requested.

That’s it! This is how far I have come working with the Storefront API.

  • This is the live site I created in this process to give an overview of how it all works together.
  • The source code is available on GitHub . This template can be used to get started with the Shopify Storefront APIs.

Shopify API Releases

This is the October 2021 edition our API Features Roundup. It’s designed to help developers understand the latest developments and how to adopt them to make their apps more efficient.

This version features significant improvements to Storefront API. It includes a brand new cart API and the ability fetch specific resources by ID. This version includes bulk operation webhooks and manual fulfillment holds that facilitate pre-orders. It also contains SMS marketing consent endpoints that indicate a customer’s willingness for SMS marketing communications.

This release coincides with version 2020-10’s removal. Make sure to review your API health report and check for compatibility before you make any changes. The 2021-10 release notes contain a complete list of API changes that have been made to this version.

Cart API

Managing carts using the Storefront API had its problems in the past. To get the most current product pricing and availability, you had to create or update your checkout. Shopify carefully throttles checkouts in order to provide a high-quality shopping experience. Requests to manage this “pseudocart”, would count against your checkout throttle limit.

It is now possible to use the Storefront API to interact with carts in the 2021-10 version. The cart API is a huge step forward in usability. It allows you to access all the information about an order, without the need to create a checkout or wait for the customer to pay. These carts no longer need to be tied to the checkout throttle, they can instead use the same throttle that all other storefront requests. This update also benefits flash sales: carts created via the Storefront API now have the ability to check out the checkout queue.

Improvements to the Storefront API

To facilitate retrieval of individual resources, new fields were added to the QueryRoot object. You can query blogs, collections and pages directly using an ID or handle. These fields enable you to quickly and effectively fetch the resource you require, instead of searching through a list every resource returned from the index.

Bulk Operation Webhooks

To find out when Shopify has finished processing a bulk order, you had to poll its status in the past versions. We’ve added webhooks in 2021-10 to let clients know if a bulk job is complete, cancelled, or failed. Webhooks can reduce the API call limit impact of bulk operations and allow clients to relax and wait for the response from the webhook that includes the status of their bulk operation. No more polling!

Manual Fulfillment Holds

Version 2021-10 adds support to more powerful fulfillment workflows for clients who use Fulfillment Orders. Fulfillment Orders now allow apps to place fulfillment hold on items for backorders and pre-orders, before the item becomes available for fulfillment.

These new actions can only be performed through Fulfillment Orders and not via the legacy fulfillment platform. We recommend that clients who interact with fulfillments use Fulfillment Orders instead of legacy order fulfillment endpoints.

SMS Consent

Clients can now access, update, and retrieve consent from customers to receive marketing material via SMS. Updates to this preference will trigger a CUSTOMERS_MARKETING_CONSENT_UPDATE webhook, allowing you to stay updated about the customer’s marketing preferences.

Reminder: All apps that do marketing must keep the Shopify customer record up-to-date with any customer preferences. All apps in a store can respect the marketing preferences of every customer by having up-to-date data about them in Shopify.

Shopify Checkout API

HulkApps offers Shopify support that is subscription-ready. You can create upselling opportunities with engaging pre-checkout addons for your Shopify subscription architecture.

  • Create seamless shopping experiences
  • Increase the average order value
  • Fastest Shopify checkout
  • Marketing that is affordable and optimized

Create a brand experience with Shopify’s pre-checkout extension

You can create customer longevity that benefits your customers and you as a merchant. Shopify subscription precheckout add-on boosts your recurring order value

HulkApps Shopify specialists create diverse Shopify subscription APIs to help you build pre-checkout addons on your site. In minutes, you can increase your sales.

High customer value is achieved when both functionality and performance are considered. Shopify allows you to quickly make purchases by adding a pre-checkout extension.

Pre-checkout plugin – The fastest way to increase sales

You don’t need to create a checkout page for Shopify. Instead, build something more powerful to increase upselling for your business. HulkApps makes this easy for you.

The ability to sync Shopify with the subscription checkout allows you to do more in less time. The pre-checkout process helps to make shopping easy.

Create custom pre-checkout

HulkApps uses the Shopify subscription APIs to provide similar functionality for pre-checkout checkout. All processes are seamless and all settings are easily managed.

Rapid payment processing

Your subscription payments can be made quick and simple. We can handle any subscription plan, no matter how small or complex.

Manage recurring orders

HulkApps ensures that your pre-checkout addon increases the value recurring orders. Shopify support is available to assist customers with any issues that may prevent them from accessing your checkout. Contact us to create the pre-checkout functionality for your Shopify architecture.

What is Cart.js?

Cart.js, a small Javascript library open-source from Javascript, makes adding powerful Ajax cart functionality into your Shopify theme easy.

It is easy to use and has some very powerful and useful features like:

  • Cart manipulation using a consistent, simple API
  • Data API is for markup-only usage without the need to write a single line of Javascript
  • DOM Binding allows you to dynamically render HTML templates when your cart changes.

Ajax requests don’t have to be synchronous or binding event listeners. You also don’t have to worry about updating the DOM.

Can it do more?

Yes! Cart.js can do so much more than convert existing product forms to Ajax using a single attribute. It also supports fully dynamic HTML templates.

You can also hook into our API and custom events if you want to create your Javascript script.

Learn more about Cart.js by using the guide or the reference.

Additional Questions

Is it stable

Cart.js is one the most popular front-end Shopify libraries. It is being used by many Shopify stores, including our clients.

It doesn’t get frequent updates but it is maintained. We do our best to respond promptly to feature requests and bug reports.

We’re happy to answer your questions or assist you in getting up and running with Cart.js if you are interested.

Who is using it?

Apart from our clients, some of which have large Shopify stores, there are many other sites that are using Cart.js. For a complete list, visit the Built With Cart.js Page. Add your own site after you have built something with the library.

What is the browser support like?

It’s pretty good! The core Cart.js libraries are dependent on jQuery for Ajax request and DOM manipulation. This is why the only limit is the version of jQuery that you choose to use. The 1.x version jQuery with Cart.js can be used to create themes that support IE6+, Chrome and Firefox, Safari 5.1+, Safari 5.1+, and higher.

There are potential problems with older browsers that don’t support ES5 Javascript. This means you can’t use the DOM binding functionality. For more information, see Browser Support.

## Here the entry breaks off for data records
'''
Record 1
NaCoSnGe | PBE | optimized geometry

Computed properties:
The calculated total energy is -4.0530 eV/atom. As for the symmetry: F-43m (216).

abc: 4.5911 4.5911 4.5911
angles: 60.00 60.00 60.00
Sites, in units of the cell vectors:
Ge 0.0000 0.0000 0.0000
Co 0.2500 0.2500 0.2500
Sn 0.5000 0.5000 0.5000
Na 0.7500 0.7500 0.7500

Record 2
NdAsNO | PBE | optimized geometry

Computed properties:
The calculated total energy is -6.8617 eV/atom. As for the symmetry: P4/nmm (129).

abc: 4.2702 4.2702 7.2638
angles: 90.00 90.00 90.00
Sites, in units of the cell vectors:
Nd 0.0000 0.5000 0.1476
O 0.5000 0.5000 0.0000
As 0.0000 0.0000 0.5000
O 0.0000 0.0000 0.0000
Nd 0.5000 0.0000 0.8524
N 0.0000 0.5000 0.4944
N 0.5000 0.0000 0.5056
As 0.5000 0.5000 0.5000

Record 3
HoAlTl | PBE | optimized geometry

Computed properties:
The calculated total energy is -3.4011 eV/atom. As for the symmetry: F-43m (216).

abc: 4.9577 4.9577 4.9577
angles: 60.00 60.00 60.00
Sites, in units of the cell vectors:
Tl 0.7500 0.7500 0.7500
Ho 0.0000 0.0000 0.0000
Al 0.2500 0.2500 0.2500

Record 4
BaHgPbCl2O2 | PBE | optimized geometry

Computed properties:
The calculated total energy is -4.3132 eV/atom. As for the symmetry: Cm (8).

abc: 6.3373 6.3373 7.9767
angles: 119.81 119.81 37.47
Sites, in units of the cell vectors:
O 0.1916 0.1916 0.0780
Cl 0.5774 0.5774 0.3600
Pb 0.8075 0.8075 0.2280
Hg 0.0018 0.0018 0.0095
Cl 0.4357 0.4357 0.6628
Ba 0.1738 0.1738 0.7210
O 0.8122 0.8122 0.9407

Record 5
KTa3Sb5 | PBE | optimized geometry

Computed properties:
The calculated total energy is -6.5426 eV/atom. As for the symmetry: P6/mmm (191).

abc: 5.7893 5.7893 9.2608
angles: 90.00 90.00 120.00
Sites, in units of the cell vectors:
Sb 0.0000 0.0000 0.5000
Ta 0.5000 0.5000 0.5000
Ta 0.0000 0.5000 0.5000
Ta 0.5000 0.0000 0.5000
Sb 0.6667 0.3333 0.7573
K 0.0000 0.0000 0.0000
Sb 0.3333 0.6667 0.2427
Sb 0.6667 0.3333 0.2427
Sb 0.3333 0.6667 0.7573

Record 6
GaFeMoOs | PBE | optimized geometry

Computed properties:
The calculated total energy is -8.3110 eV/atom. As for the symmetry: F-43m (216).

abc: 4.2769 4.2769 4.2769
angles: 60.00 60.00 60.00
Sites, in units of the cell vectors:
Mo 0.5000 0.5000 0.5000
Os 0.2500 0.2500 0.2500
Ga 0.0000 0.0000 0.0000
Fe 0.7500 0.7500 0.7500

Record 7
LuNiPt2 | PBE | optimized geometry

Computed properties:
The calculated total energy is -6.1877 eV/atom. As for the symmetry: F-43m (216). For the formation enthalpy at 0 K, the calculation gives -0.6370 eV per atom.

abc: 4.5339 4.5339 4.5339
angles: 60.00 60.00 60.00
Sites, in units of the cell vectors:
Pt 0.0000 0.0000 0.0000
Ni 0.2500 0.2500 0.2500
Pt 0.7500 0.7500 0.7500
Lu 0.5000 0.5000 0.5000

Record 8
SrFeCuS3 | PBE | optimized geometry

Computed properties:
The calculated total energy is -5.1298 eV/atom. As for the symmetry: Pnma (62).

abc: 9.5291 3.7547 12.9037
angles: 90.00 90.00 90.00
Site moments in Bohr magnetons follow the coordinates.
Sites, in units of the cell vectors:
'''

I have a feature request or bug report.

It can be added to the issues tracker at GitHub.

What can I do to help?

Absolutely! You can simply go to the GitHub webpage, fork the repository, and then manage development through pull requests and issues.

Contact me on twitter if you are interested in helping but don’t know how to begin.